The Dangerous and Frightening Disappearance of the Nuclear Expert
Tensions among nuclear powers are rising, but decades of peace have resulted in a dearth of people trained to deal with the continuing threat.

-- begin --
Entry 1:
The following is a computed X-ray diffraction stick pattern of ThAl8Cr4. It was derived from a PBE-relaxed structure, using λ = 1.5418 Å (Cu Kα).
Neutral-atom scattering factors, no anomalous dispersion.

Unit cell a=9.016 b=9.016 c=5.026 alpha=90.00 beta=90.00 gamma=90.00
Space group I4/mmm (No. 139)
One atom of each set of equivalent atoms:
Th 0.000 0.000 0.000 (multiplicity 2)
Al 0.000 0.224 0.500 (multiplicity 8)
Al 0.000 0.345 0.000 (multiplicity 8)
Cr 0.250 0.250 0.250 (multiplicity 8)

The 10 most intense peaks (2θ = 10–80°), in order of rising 2θ:
d/Å, intensity, h k l
6.375, 86, 1 1 0
4.390, 80, 1 0 1
3.188, 50, 2 2 0
3.145, 100, 2 1 1
2.851, 44, 3 1 0
2.579, 58, 3 0 1
2.254, 66, 4 0 0
2.239, 95, 3 2 1
2.195, 90, 2 0 2
1.573, 37, 4 2 2

Entry 2:
The following is a computed X-ray diffraction stick pattern of Ti4Al3Cr. It was derived from a PBE-relaxed structure, using λ = 1.5418 Å (Cu Kα).
Neutral-atom scattering factors, no anomalous dispersion.

Unit cell a=3.043 b=3.043 c=13.583 alpha=90.00 beta=90.00 gamma=90.00
Space group P4/mmm (No. 123)
One atom of each set of equivalent atoms:
Ti 0.000 0.000 0.102 (multiplicity 2)
Ti 0.000 0.000 0.365 (multiplicity 2)
Al 0.500 0.500 0.235 (multiplicity 2)
Al 0.500 0.500 0.500 (multiplicity 1)
Cr 0.500 0.500 0.000 (multiplicity 1)

The 10 most intense peaks (2θ = 10–80°), in order of rising 2θ:
d/Å, intensity, h k l
6.792, 8, 0 0 2
4.528, 6, 0 0 3
2.266, 100, 1 0 4
2.152, 49, 1 1 0
2.027, 8, 1 0 5
1.942, 4, 0 0 7
1.698, 6, 0 0 8
1.522, 15, 2 0 0
1.333, 10, 1 1 8
1.263, 26, 2 1 4

Entry 3:
The following is a computed X-ray diffraction stick pattern of TmAl6Cr6. It was derived from a PBE-relaxed structure, using λ = 1.5418 Å (Cu Kα).
Neutral-atom scattering factors, no anomalous dispersion.

Unit cell a=5.048 b=8.679 c=8.791 alpha=90.00 beta=90.00 gamma=90.00
Space group Immm (No. 71)
One atom of each set of equivalent atoms:
Tm 0.000 0.000 0.000 (multiplicity 2)
Al 0.000 0.000 0.332 (multiplicity 4)
Al 0.000 0.308 0.500 (multiplicity 4)
Al 0.000 0.345 0.000 (multiplicity 4)
Cr 0.000 0.500 0.259 (multiplicity 4)
Cr 0.250 0.250 0.250 (multiplicity 8)

The 10 most intense peaks (2θ = 10–80°), in order of rising 2θ:
d/Å, intensity, h k l
6.176, 52, 0 1 1
4.381, 28, 1 0 1
3.094, 64, 1 1 2
3.082, 27, 1 2 1
2.198, 35, 0 0 4
2.189, 56, 2 0 2
2.181, 100, 2 2 0
2.170, 27, 0 4 0
1.549, 23, 2 2 4
1.545, 21, 0 4 4

Entry 4:
The following is a computed X-ray diffraction stick pattern of Al3V12Cr. It was derived from a PBE-relaxed structure, using λ = 1.5418 Å (Cu Kα).
Neutral-atom scattering factors, no anomalous dispersion.

Unit cell a=4.766 b=4.804 c=9.546 alpha=90.00 beta=90.00 gamma=90.00
Space group Pmmm (No. 47)
One atom of each set of equivalent atoms:
Al 0.000 0.000 0.000 (multiplicity 1)
Al 0.500 0.500 0.250 (multiplicity 2)
V 0.000 0.243 0.258 (multiplicity 4)
V 0.243 0.500 0.500 (multiplicity 2)
V 0.251 0.500 0.000 (multiplicity 2)
V 0.500 0.000 0.128 (multiplicity 2)
-- stop --
### The crystal structures stop here

SANTA MONICA, Calif. — At the height of the Cold War, the RAND Corporation crackled with the collective energy of the best brains the Pentagon could find to tackle the biggest threat.
At lunchtime, an eclectic group of physicists, economists and social scientists would play Kriegspeil, a form of double-blind chess modeled on Prussian wargames in which players can’t see their opponent’s pieces and infer their moves from a referee sharing sparse information. Then they would spend the rest of the workday developing the military doctrine, deterrence theory and international arms control frameworks to prevent nuclear war — and if all else failed, how they might win one, or at least avoid total annihilation.
It’s been several decades since the likes of Herman Kahn, the alpha male of the so-called “Megadeath Intellectuals” whose famous book On Thermonuclear War casually contemplated the long-term prospects for a society that had endured the sudden extinction of more than 100 million people, roamed RAND’s halls. The favored lunchtime competition these days seems to be ping pong in the courtyard — if anyone’s around.
One recent morning, I visited RAND’s headquarters here on the scenic California coast. After being escorted past three layers of security, I found Ed Geist, the intellectual heir to those legendary Cold Warriors, holding down the fort in the “Coffee Cove” in the RAND library.
Geist, who holds a Ph.D. in Russian history and is author of the forthcoming book Deterrence Under Uncertainty: Artificial Intelligence and Nuclear Warfare, said the Pentagon-funded think tank’s team of dedicated nuclear policy experts and strategists, spread across half a dozen offices worldwide, could barely fill a couple tables in the lunchroom now. And many of the ones who are left, he said, are in the twilight of their careers.
“It is much, much reduced,” he said, framed by obscure periodicals with titles like North Korean Review, Phalanx and Strategic Policy. “We have more work than we can do.”

He cited a backlog of requests from military commanders and Pentagon policy chiefs for advice on how to contend with a resurgent nuclear threat from Russia, China’s massive nuclear buildup and the increasingly likely prospect that more outlaw states like Iran will soon have the bomb.
“Part of it is just trying to get people up to speed,” explained Geist, 39. “During the Cold War, a lot of people learned on the job, so a lot of it isn’t written down anywhere — or at least isn’t easily accessible.”
This summer, as the public is treated to a rare thriller about the development of the atomic bomb in director Christopher Nolan’s biopicOppenheimer, the nation’s leading nuclear policy wonks like Geist are more concerned than ever about the specter of a nuclear war — and warn that we are far less prepared than during the Cold War to deal with a more expansive threat. As Oppenheimer reminds us, the bomb itself was the creation of a relatively small number of geniuses assigned to the New Mexico desert in the waning days of World War II. But once it was unleashed and other major powers followed, an entire nuclear complex employing thousands of weapons engineers and technicians, political and social scientists, and diplomats sprang up to harness a humanity-erasing technology and fashion strategies to prevent the unthinkable.
Over time, however, the pervasive fear that fueled that intellectual apparatus has ebbed — and with it the urgency to restock the ranks of experts. Three decades after the Cold War ended, RAND and the broader network of government agencies, national laboratories, research universities and think tanks are struggling to meet the demands of a new — and many contend, far more dangerous — chapter in the global nuclear standoff.

/*
(1)
The following is a calculated PXRD pattern of TbErGa2Br2. It was derived from the PBE geometry in OQMD, using Cu Kα (weighted mean of Kα1 and Kα2).

Structure:
a b c (Å): 4.1159 4.1159 11.2346
angles (deg): 90.00 90.00 120.00
Space group P3m1 (No. 156)
Inequivalent atoms, fractional coordinates:
Tb 0.0000 0.0000 0.0000 [1 per cell]
Er 0.0000 0.0000 0.6365 [1 per cell]
Ga 0.3333 0.6667 0.8479 [1 per cell]
Ga 0.6667 0.3333 0.7853 [1 per cell]
Br 0.3333 0.6667 0.4817 [1 per cell]
Br 0.6667 0.3333 0.1580 [1 per cell]

Largest 12 diffraction maxima, in order of rising 2θ, 2θ = 10–90°:
index	Position (°2θ)	Rel. int.
0 0 2	15.78	12
1 0 0	24.98	15
1 0 1	26.23	21
1 0 2	29.68	66
1 0 3	34.75	100
1 1 0	44.00	50
0 1 5	47.85	24
0 2 2	53.98	12
0 2 3	57.25	24
1 1 6	67.65	16
2 1 2	72.09	10
2 1 3	74.91	21

---

(2)
The following is a calculated PXRD pattern of GdErBr2O. It was derived from the PBE geometry in OQMD, using Cu Kα (weighted mean of Kα1 and Kα2).

Structure:
a b c (Å): 3.6555 3.6555 10.2040
angles (deg): 90.00 90.00 120.00
Space group P3m1 (No. 156)
Inequivalent atoms, fractional coordinates:
Gd 0.0000 0.0000 0.0000 [1 per cell]
Er 0.3333 0.6667 0.2440 [1 per cell]
Br 0.0000 0.0000 0.4304 [1 per cell]
Br 0.3333 0.6667 0.8055 [1 per cell]
O 0.6667 0.3333 0.1406 [1 per cell]

Largest 12 diffraction maxima, in order of rising 2θ, 2θ = 10–90°:
index	Position (°2θ)	Rel. int.
1 0 0	28.19	27
1 0 2	33.31	100
0 0 4	35.18	9
1 0 3	38.86	31
0 1 4	45.67	13
1 1 0	49.90	27
0 1 5	53.42	11
0 2 2	61.32	17
1 1 4	62.51	11
1 1 5	68.97	12
1 0 7	71.21	10
2 1 2	82.87	15

=====

[1]
Simulated powder diffraction line list of KMg14CrO16 for copper Kα, from a GGA+U-relaxed structure.

Structural model:
```
KMg14CrO16
1.0
4.362 0.000 0.000
0.000 8.612 0.000
0.000 0.000 8.624
K Mg Cr O
1 14 1 16
direct
0.000 0.000 0.000
0.000 0.253 0.247
0.000 0.253 0.753
0.000 0.500 0.000
0.000 0.500 0.500
0.000 0.747 0.247
0.000 0.747 0.753
0.500 0.000 0.244
0.500 0.000 0.756
0.500 0.251 0.500
0.500 0.252 0.000
0.500 0.500 0.248
0.500 0.500 0.752
0.500 0.748 0.000
0.500 0.749 0.500
0.000 0.000 0.500
0.000 0.000 0.276
0.000 0.000 0.724
0.000 0.242 0.500
0.000 0.275 0.000
0.000 0.500 0.259
0.000 0.500 0.741
0.000 0.725 0.000
0.000 0.758 0.500
0.500 0.000 0.000
0.500 0.000 0.500
0.500 0.249 0.252
0.500 0.249 0.748
0.500 0.500 0.000
0.500 0.500 0.500
0.500 0.751 0.252
0.500 0.751 0.748
```

Main lines, in order of rising 2θ (2θ from 10° to 90°):
Position (°2θ)	I_rel
10.27	5
35.95	24
41.40	53
41.93	100
60.39	58
60.80	28
71.95	5
72.70	10
76.23	25
89.97	4

***

[2]
Simulated powder diffraction line list of BaYMn2O6 for copper Kα, from a GGA+U-relaxed structure.

Structural model:
```
BaYMn2O6
1.0
7.840 0.000 0.000
0.000 5.597 0.000
-0.091 0.000 5.551
Ba Y Mn O
2 2 4 12
direct
0.000 0.244 0.250
0.000 0.756 0.750
0.500 0.238 0.250
0.500 0.762 0.750
0.258 0.250 0.750
0.258 0.750 0.250
0.742 0.250 0.750
0.742 0.750 0.250
0.000 0.281 0.750
0.000 0.719 0.250
0.256 0.028 0.027
0.256 0.972 0.527
*/

The discipline’s steady decline, which only accelerated following the Sept. 11 attacks when the military pivoted to the war on global terrorism, is compounded by reduced funding from some of the leading philanthropies that funded nuclear policy studies and the graying of the last generation of practitioners both in and out of government. As for government funding, most of it — to the tune of $75 billion a year over the next decade — is dedicated to overhauling the U.S. arsenal of nuclear-armed missiles, bombers and submarines, far eclipsing investments in the humans who manage them.
More than a dozen experts across the ideological spectrum I spoke with — hawks and doves alike — agreed a renaissance is needed to rebuild lost muscle memory and fashion new strategies to deter increasingly belligerent nuclear peers and new wannabe nuclear states. And the emergence of artificial intelligence, some analysts fear, could enhance an aggressor’s nuclear first-strike capability or sow dangerous confusion among atomic adversaries.
“There just aren’t that many people who have made this a career,” said Jon Kyl, the former Republican senator from Arizona who is presiding over the bipartisan Congressional Commission on the Strategic Posture of the United States, which is poised to deliver recommendations next month on nuclear threats and strategy. “And there aren’t many of the old-timers around,” he told me. “There is a lot of wisdom that was lost.”

During the Cold War, “the nuclear weapon was the doomsday machine. It was the threat,” Rose Gottemoeller, a former deputy secretary-general of NATO and lead U.S. arms control negotiator who is also a member of the commission, told me. “The shock and trauma of the nuclear age has faded. There are other existential threats out there.”
She told me that recent experience with her students at Stanford University’s Center for International Security and Cooperation underscores how the appeal of other national security pursuits is greater than nukes to many of the new generation. She said the role of other, more modern technologies in national security — such as AI, or cyber warfare — often trump the nuclear portfolio.
“This is an old technology,” Gottemoeller explained. “For young people today, they are a bit of a yawn. They are profoundly an existential threat to mankind, but they are not at the cutting-edge of technology and young people aren’t as interested in them.”
Joan Rohlfing has been sounding the alarm about the trend for years.
For the last 13 years, the former top nuclear adviser at the Departments of Defense and Energy and staffer for the House Armed Services Committee, has been president of the Nuclear Threat Initiative. The nonprofit, founded in 2001 by media mogul Ted Turner, is dedicated to reducing the dangers of weapons of mass destruction. And it has emerged as the standard bearer — and often lead funder — of training programs and policy work that is central to government nuclear strategies.
“This is perhaps the most dangerous point in the history of the nuclear age,” she told me.
Even more than the 1962 Cuban Missile Crisis, in which Washington and Moscow came to the brink of nuclear war? I asked. Yes, she responded, contending the historical record shows Soviet leaders were genuinely seeking to resolve the escalating crisis after having been caught secretly placing nuclear tipped missiles 90 miles from American shores.
“That may sound alarming,” Rohlfing acknowledged, “but I have deep concerns that we are underestimating the dangers of the moment. There is a lot more complexity, with more nuclear weapons states, with more lethal weapons, with weapons that fly faster on hypersonic vehicles.
“And on top of all that,” she stressed, “there is a hot war in Europe with nuclear threats being made.”
Indeed, few predicted the extent to which the Russian nuclear menace would return with such a vengeance. And the startling nuclear saber rattling from Moscow has only risen as its battlefield fortunes in Ukraine have fallen. Of particular concern for U.S. and European officials was a recent article by a leading strategist with ties to the Kremlin who concluded that for too long “we thoughtlessly set too high a threshold for the use of nuclear weapons.” He recommended a limited nuclear strike to break Ukraine — and the West’s — will. The article asserts that the chances the United States would respond with nuclear weapons and risk retaliatory strikes on American cities would “be reduced to an absolute minimum” and reflects a much greater willingness to climb the ladder of nuclear escalation than during the Cold War.

Meanwhile, the arms control agreements that Washington and Moscow relied on for decades to bring some measure of stability and transparency to the world’s largest nuclear arsenals —including requiring reciprocal visits of each other’s weapons bases — have become another casualty of degrading relations between the United States and Russia in recent years.
Warnings are growing that the West is simply not up to snuff. Some analysts steeped in the region are calling for a major review of both the quantity and quality of both post-Soviet area and nuclear strategy studies. A recent essay, for example, cited far fewer courses offered at elite universities and almost nothing on Ukraine or other former Soviet republics. The essay’s authors blamed this dearth of serious, broad-based academic inquiry for the West’s failure to predict Russia’s all-out invasion of Ukraine in 2022.
“Knowledge is power,” they wrote. “This includes the power to prevent wars by knowing who is capable of what, what to expect, and what is at stake.”
Perhaps the biggest difference from the Cold War-era theorizing about nuclear deterrence has been China’s “breakout,” as the Pentagon calls it, to field a nuclear arsenal on par with the United States and Russia.
The Pentagon has estimated that Beijing could quadruple its deployed warheads to 1,000 by 2030, uncomfortably close to the number of nuclear weapons that Moscow and Washington have deployed. But China is not party to any arms control agreements or international limits. “We have not built a good foundation for these discussions with the Chinese,” says Geist, the RAND nuclear expert.
Meanwhile, successive government studies and think-tank reports warn about the threat of cyber-attacks on nuclear command and control systems that could lead to deadly miscalculation. Add to the mix the uncharted territory of AI, the race to develop new weapons that can destroy early warning or communications satellites in orbit, and the failure of the international community to prevent North Korea and Iran from building up their nuclear weapons complexes.
“All the ingredients are here for a catastrophe,” Rohlfing said. “I think there is a high degree of denial because we have gone so long without nuclear use. We are discounting the warning signs that are right in front of us. In the heat of the moment, all it takes is a miscommunication or miscalculation to create a series of events that spiral out of control.”

Yet the level of the threat is not matched by the brain power needed to confront it, she said.
Rohlfing pointed to a 2019 assessment of the nuclear arms control and disarmament community that painted a decidedly gloomy outlook for a field that was once vibrant. It singled out the arm of the Department of Energy responsible for both building and certifying the nuclear warheads for the U.S. arsenal and working to prevent the further spread of nuclear weapons around the world.
“By 2023, nearly 40 percent of the National Nuclear Security Administration’s employees will be eligible for retirement,” stated the report by N Square. “If a new generation of experts cannot be recruited to replace those who are stepping down, the branches of government responsible for nonproliferation and disarmament will be unable to do their work.” The agency has an estimated 50,000 employees and contractors at weapons labs, plants and other facilities.
That demographic trend is now the norm for many working in the nuclear weapons space. “I am still one of the youngest people in the room when I walk into a room full of nuclear weapons experts,” Tim Morrison, 45, who has handled the nuclear portfolio for Republicans in Congress and served as the top nuclear policy adviser to former President Donald Trump, told me recently.
Compounding the problem is that the John D. and Catherine T. MacArthur Foundation, the leading philanthropy that for four decades was a top donor to nuclear policy programs at universities, think tanks and other research institutions halted its support for the discipline two years ago. Between 2015 and 2021, it directed 231 grants totaling more than $100 million to “nuclear challenges” and, by some estimates, accounted for more than half of all non-government nuclear funding. But it concluded that it wasn’t achieving its goals and shifted to other disciplines such as climate change and public health. That has deprived a host of research centers and grassroots organizations dedicated to reversing the spread of nuclear weapons of much-needed funding to build a new generation of nuclear thinkers.
“The capacity in the field is shrinking as the threat is expanding,” said Rohlfing. “Nuclear is woefully neglected.”
Mark Bucknam arrived at the National War College in 2010. He discovered the leading academic institution for training military, diplomatic and foreign leaders in national security strategy was bestowing masters degrees without any instruction on nuclear deterrence, which had been a pillar of the curriculum in the years before the 9/11 attacks.
“There was no course on nukes,” the retired Air Force colonel, who holds a Ph.D. in war studies from King’s College in London, recently told me. He said students instead got the bare minimum: “One day when they got a lecture on nukes.”
Yet not much has changed, in the view of multiple experts.
The Biden administration’s 2022 Nuclear Posture Review, which set goals for modernizing the U.S. nuclear arsenal and deterring a growing number of potential nuclear adversaries, gives priority to “recruiting and retaining a skilled and diverse workforce,” while acknowledging there is “no quick fix.”
“Since the Cold war we have just forgotten how to think about it,” Bucknam said. “Nukes were central to our national security, and everyone knew it. When you did professional training there was plenty there on nuclear deterrence and our force structure. That just got dumped.”

Many training grounds for civilian arms control experts and nuclear strategists to fill government posts are also scrambling to recruit.
“People took it off their radar screen,” said former Massachusetts Democratic Rep. John Tierney, executive director of the nonpartisan Center for Arms Control & Nonproliferation, which saw more than half a dozen of its staff members join the Biden administration. “There is plenty of expertise, but they are gray-haired now. There is a pipeline but not as many and not yet as deeply experienced.”
“And nobody has experience with the tri-party situation,” Tierney told me, referring to the steady expansion of China’s arsenal to potentially match the United States and Russia.
“A lot of the people I have to deal with, even in the military, aren’t that well informed,” added Adam Lowther, director of strategic deterrence programs at the National Strategic Research Institute, an arm the U.S. Strategic Command, which oversees the nuclear arsenal. “They don’t have experience or the background.”
Stephen Schwartz, a senior fellow at the Bulletin of the Atomic Scientists, which has been advocating for reductions in nuclear arsenals since the arrival of the nuclear age in 1945, believes the lack of experience and expertise is particularly acute in Congress, where few lawmakers or staff are steeped in arms control, nuclear strategy or deterrence theory.
The debates, in his view, “are almost solely on the cost of nuclear weapons and not their utility.”
Congress is about to get another wake-up call, however, in the form of the bipartisan commission’s upcoming report. The body represents some of the most divergent views on how the United States can reduce the chances of a nuclear clash. But there is widespread agreement in at least one regard.
“The underlying theme is that while it didn’t seem like we needed to pay attention to those issues after the Cold War ended, the fact is we should have because Russia continued to,” said Kyl. “And China began to develop its nuclear weapons in a new way. We are playing catch up.”

He also believes Congress needs to develop more expertise on the issues. “The only people who seem to care very much about it are members who have some military base in their district” that benefits from nuclear weapons contracts, Kyl said.
“Everybody [on the commission] was very seized by the notion that we have to start training the next generation,” added fellow commissioner Gottemoeller, who served in multiple Democratic administrations. “That goes for the policy side and people who are going to be working in the trades in the nuclear complex.”
In the meantime, the paucity of people with the expertise to do that instruction are the guardians of a knowledge that remains far too obscure. Like relics of a distant era.
Ahead of my visit, RAND officials culled some of their nuclear archives, including a palm-sized disc labeled “BOMB DAMAGE EFFECT COMPUTER,” a circa-1958 device that would have been in the desk drawer of anyone who needed to estimate the probable impacts of atomic weapons. Geist rotated the concentric dials that can estimate what a nuclear blast, ranging from a kiloton to 100 megatons, would produce in terms of crater size and “maximum fireball radius.”
These days, Geist sometimes feels like an artifact, too.
“I guess I’m on my own here,” he said. “We have some difficult theoretical and also practical questions that have to be addressed. We can’t just go into the stacks and pull out [the books of] Herman Khan and apply it to today.”